Brief:
Please restate the lines below up to the one that holds "_atom_site_type_symbol", that line included.
Material:
'''
Calculated XRD peak list of K2MnOF5 for Cu Kα, from the GGA+U geometry in Alexandria.

Peak list (10 most intense, 10° ≤ 2θ ≤ 90°, sorted by position)
| hkl | Position (°2θ) | I/Imax |
| --- | --- | --- |
| 1 0 0 | 14.46 | 100.0 |
| 0 2 1 | 26.28 | 42.4 |
| 0 0 2 | 29.09 | 12.5 |
| 1 2 -1 | 29.28 | 42.7 |
| 1 2 1 | 30.92 | 28.3 |
| 2 2 0 | 36.72 | 34.9 |
| 2 0 -2 | 39.20 | 26.3 |
| 2 0 2 | 44.09 | 15.0 |
| 0 4 0 | 44.50 | 23.1 |
| 2 4 0 | 54.09 | 11.1 |

```
data_K2MnOF5
_space_group_name_H-M_alt 'P 1'
_space_group_IT_number 1
_cell_length_a 6.1523
_cell_length_b 8.1430
_cell_length_c 6.1776
_cell_angle_alpha 90.00
_cell_angle_beta 96.42
_cell_angle_gamma 90.00
loop_
_space_group_symop_operation_xyz
'x,y,z'
loop_
_atom_site_label
_atom_site_type_symbol
_atom_site_fract_x
_atom_site_fract_y
_atom_site_fract_z
K1 K 0.0024 0.2500 0.4330
K2 K 0.4674 0.2500 0.9718
K3 K 0.5326 0.7500 0.0282
K4 K 0.9976 0.7500 0.5670
Mn1 Mn 0.5000 0.0000 0.5000
Mn2 Mn 0.5000 0.5000 0.5000
O1 O 0.0561 0.7500 0.0625
O2 O 0.9439 0.2500 0.9375
F1 F 0.2682 0.0199 0.6723
F2 F 0.2682 0.4801 0.6723
F3 F 0.3067 0.0366 0.2481
F4 F 0.3067 0.4634 0.2481
F5 F 0.4425 0.7500 0.4732
F6 F 0.5575 0.2500 0.5268
F7 F 0.6933 0.5366 0.7519
F8 F 0.6933 0.9634 0.7519
F9 F 0.7318 0.5199 0.3277
F10 F 0.7318 0.9801 0.3277
```

----------

Starting from a crystal structure in OQMD, relaxed with GGA-PBE, the powder XRD pattern of Li3PrHo2Sn3 was computed for a wavelength of 1.5418 Å.
Peak positions follow from Bragg's law for the DFT cell and can differ from measured ones.

Peak list (12 most intense, 5° ≤ 2θ ≤ 70°, sorted by position)
21.75 deg, 4.086 Å, rel. 28.4, (1 0 0); 23.20 deg, 3.833 Å, rel. 18.8, (1 0 1); 27.12 deg, 3.288 Å, rel. 20.8, (1 0 2); 32.69 deg, 2.739 Å, rel. 100.0, (1 0 3); 38.15 deg, 2.359 Å, rel. 55.4, (1 1 0); 46.65 deg, 1.947 Å, rel. 6.7, (1 0 5); 49.38 deg, 1.846 Å, rel. 7.6, (0 0 6); 51.10 deg, 1.787 Å, rel. 28.8, (2 0 3); 54.56 deg, 1.682 Å, rel. 4.9, (1 0 6); 64.06 deg, 1.454 Å, rel. 21.2, (1 1 6); 65.52 deg, 1.425 Å, rel. 27.5, (2 1 3); 68.95 deg, 1.362 Å, rel. 10.0, (3 0 0)

Structure:
Lattice parameters (Å, degrees): 4.7179 4.7179 11.0740 90.00 90.00 120.00
Space group P-6m2 (No. 187)
Asymmetric unit:
Li (0.0000, 0.0000, 0.0000) (multiplicity 1)
Li (0.3333, 0.6667, 0.2987) (multiplicity 2)
Pr (0.6667, 0.3333, 0.5000) (multiplicity 1)
Ho (0.6667, 0.3333, 0.1599) (multiplicity 2)
Sn (0.0000, 0.0000, 0.3168) (multiplicity 2)
Sn (0.3333, 0.6667, 0.0000) (multiplicity 1)

***

Starting from a crystal structure in OQMD, relaxed with GGA-PBE, the powder XRD pattern of Li2Ho2Si3 was computed for a wavelength of 1.5418 Å.
Peak positions follow from Bragg's law for the DFT cell and can differ from measured ones.

Peak list (12 most intense, 5° ≤ 2θ ≤ 70°, sorted by position)
9.89 deg, 8.947 Å, rel. 20.9, (0 2 0); 21.54 deg, 4.126 Å, rel. 47.9, (1 1 0); 24.01 deg, 3.707 Å, rel. 51.1, (0 4 1); 26.93 deg, 3.311 Å, rel. 37.4, (0 0 2); 32.94 deg, 2.719 Å, rel. 22.6, (0 6 1); 34.74 deg, 2.582 Å, rel. 65.5, (1 1 2); 35.51 deg, 2.528 Å, rel. 100.0, (1 5 1); 42.65 deg, 2.120 Å, rel. 22.9, (2 0 0); 45.84 deg, 1.979 Å, rel. 18.7, (0 4 3); 49.53 deg, 1.840 Å, rel. 15.2, (2 4 1); 53.34 deg, 1.718 Å, rel. 19.2, (1 5 3); 58.35 deg, 1.581 Å, rel. 16.8, (1 9 2)

Structure:
Lattice parameters (Å, degrees): 4.240 17.894 6.622 90.00 90.00 90.00
Space group Cmcm (No. 63)
Asymmetric unit:
Li (0.000, 0.190, 0.061) (multiplicity 8)
Ho (0.000, 0.343, 0.250) (multiplicity 4)
Ho (0.000, 0.448, 0.750) (multiplicity 4)
Si (0.000, 0.060, 0.571) (multiplicity 8)
Si (0.000, 0.279, 0.750) (multiplicity 4)

***

Starting from a crystal structure in OQMD, relaxed with GGA-PBE, the powder XRD pattern of SrLi3Ho2Sn3 was computed for a wavelength of 1.5418 Å.
Peak positions follow from Bragg's law for the DFT cell and can differ from measured ones.

Peak list (12 most intense, 5° ≤ 2θ ≤ 70°, sorted by position)
'''
Written answer:
Calculated XRD peak list of K2MnOF5 for Cu Kα, from the GGA+U geometry in Alexandria.

Peak list (10 most intense, 10° ≤ 2θ ≤ 90°, sorted by position)
| hkl | Position (°2θ) | I/Imax |
| --- | --- | --- |
| 1 0 0 | 14.46 | 100.0 |
| 0 2 1 | 26.28 | 42.4 |
| 0 0 2 | 29.09 | 12.5 |
| 1 2 -1 | 29.28 | 42.7 |
| 1 2 1 | 30.92 | 28.3 |
| 2 2 0 | 36.72 | 34.9 |
| 2 0 -2 | 39.20 | 26.3 |
| 2 0 2 | 44.09 | 15.0 |
| 0 4 0 | 44.50 | 23.1 |
| 2 4 0 | 54.09 | 11.1 |

```
data_K2MnOF5
_space_group_name_H-M_alt 'P 1'
_space_group_IT_number 1
_cell_length_a 6.1523
_cell_length_b 8.1430
_cell_length_c 6.1776
_cell_angle_alpha 90.00
_cell_angle_beta 96.42
_cell_angle_gamma 90.00
loop_
_space_group_symop_operation_xyz
'x,y,z'
loop_
_atom_site_label
_atom_site_type_symbol